Work order
Return all of the listing further below verbatim, please.

File
<<<
Record 1
The following is a quantum chemistry calculation of a 2-piece molecular cluster, C6H11N overall at a distorted geometry, from the OMol25 dataset.

Summary:
- Energy above the lowest of the compared OMol25 structures with the same formula, charge and spin: 113.06 kcal/mol
- SMILES: C=CN=C.C=CC
- E_LUMO: 0.67 eV
- Total energy: -7885.629 eV
- Gap between HOMO and LUMO: 9.0 eV
- HOMO energy: -8.4 eV

The geometry in ORCA input format:
```
! wB97M-V def2-TZVPD RIJCOSX def2/J DEFGRID3
* xyz 0 1
N -1.17 -0.70 0.98
C -0.10 1.89 -0.30
C -1.40 -0.34 -0.20
C 0.06 -1.83 2.66
C 0.20 0.69 -1.61
C 1.43 0.24 -1.82
C -0.07 -1.42 1.40
H -0.71 -0.61 -1.13
H 0.72 -1.60 0.67
H -0.73 -1.65 3.38
H 0.74 1.75 0.37
H 1.76 0.01 -2.83
H -1.00 2.01 0.30
H -2.29 0.18 -0.53
H 2.12 0.01 -1.02
H -0.47 0.95 -2.42
H 0.92 -2.39 2.98
H -0.01 2.81 -0.88
*
```

Record 2
The following is a quantum chemistry calculation of C9H9CdO7 as an isolated structure at a distorted geometry, from the OMol25 dataset.

Summary:
- E_LUMO: 3.12 eV
- Total energy: -28378.916 eV
- Gap between HOMO and LUMO: 8.9 eV
- HOMO energy: -5.7 eV

The geometry in ORCA input format:
```
! wB97M-V def2-TZVPD RIJCOSX def2/J DEFGRID3
* xyz -1 1
Cd 2.20 0.41 0.81
O 4.31 1.48 1.06
O 1.55 1.08 -1.18
O -0.02 -1.27 -0.39
O 4.21 -0.66 1.71
O 0.63 0.70 2.24
O -0.83 2.43 2.03
O 0.21 2.72 -1.82
C -1.21 0.57 0.56
C -0.73 -0.65 -1.50
C -0.90 0.78 -0.97
C -1.06 -0.97 0.68
C -0.34 1.33 1.70
C -2.30 -1.63 -0.01
C -2.01 -1.43 -1.51
C 4.88 0.41 1.47
C 0.34 1.60 -1.32
H -2.29 -2.76 0.13
H -2.79 -0.91 -2.07
H 5.97 0.43 1.52
H -0.15 -0.79 -2.44
H -3.25 -1.27 0.41
H -1.77 1.25 -1.50
H -1.71 -2.45 -1.97
H -0.69 -1.34 1.61
H -2.24 0.93 0.75
*
```

Record 3
The following is a quantum chemistry calculation of a 2-piece molecular cluster, C4H15N2O2 overall at a distorted geometry, from the OMol25 dataset.

Summary:
- Energy above the lowest of the compared OMol25 structures with the same formula, charge and spin: 68.75 kcal/mol
- Expectation value of S²: 0.751
- E_LUMO (spin up / spin down): 0.54 / 0.46 eV
- Total energy: -11461.427 eV
- Gap between HOMO and LUMO (spin up / spin down): 3.5 / 10.4 eV
- HOMO energy (spin up / spin down): -2.9 / -9.9 eV

The geometry in ORCA input format:
```
! wB97M-V def2-TZVPD RIJCOSX def2/J DEFGRID3
* xyz 0 2
O -1.40 -1.83 -3.74
O -0.72 -0.18 -1.00
N 0.32 -0.67 2.96
N -0.91 1.22 1.26
C 0.43 0.40 0.93
C 0.57 -0.99 1.63
C 1.05 1.54 -1.28
C 0.58 0.29 -0.60
H -0.77 2.17 1.49
H -0.15 -1.32 3.42
H -1.34 0.92 2.15
H 1.13 1.19 1.25
H 0.89 2.27 -0.48
H 0.53 1.63 -2.22
H 1.13 -0.56 3.44
H -0.67 -0.40 -2.05
H 2.15 1.55 -1.49
H -1.32 -2.41 -4.50
H -0.23 -1.62 1.38
H -1.68 1.02 0.47
H 1.48 -1.62 1.33
H 1.22 -0.66 -0.88
H -2.29 -1.95 -3.47
*
```

Record 4
The following is a quantum chemistry calculation of one molecule with the formula C10H11NO at a distorted geometry, from the OMol25 dataset.

Summary:
- Energy above the lowest of the compared OMol25 structures with the same formula, charge and spin: 86.49 kcal/mol
- SMILES: Cc1cccc2c1CCNC2=O
- E_LUMO: 0.43 eV
- Total energy: -14082.838 eV
- Gap between HOMO and LUMO: 9.2 eV
- HOMO energy: -8.8 eV

The geometry in ORCA input format:
```
! wB97M-V def2-TZVPD RIJCOSX def2/J DEFGRID3
* xyz 0 1
O 3.04 -0.03 0.77
N 1.87 1.54 -0.53
C 0.71 1.94 -1.24
C -0.24 0.71 -1.76
C 0.65 -0.25 0.47
C 0.40 -1.11 1.53
C -1.68 -0.65 -0.22
C -0.97 -1.60 1.86
C -2.91 -0.39 -1.10
C -2.01 -1.20 1.07
C 1.91 0.47 0.33
C -0.31 -0.25 -0.53
H -3.35 0.60 -1.34
H -1.40 -2.17 2.68
H 0.22 2.69 -0.47
H 0.05 0.30 -2.80
H -3.09 -1.16 1.68
H -1.35 1.31 -1.71
H -3.68 -0.95 -0.70
H 2.55 2.30 -0.39
H 1.16 -1.50 2.23
H -2.68 -0.75 -2.03
H 0.87 2.83 -1.98
*
```

Record 5
The following is a quantum chemistry calculation of one molecule with the formula C14H18BFO5 at a distorted geometry, from the OMol25 dataset.

Summary:
- SMILES: CC[C@@]1(CB(O)O)[C@H](COc2ccccc2)OC(=O)[C@H]1F
- E_LUMO: 0.18 eV
- Total energy: -28442.498 eV
- Gap between HOMO and LUMO: 9.1 eV
- HOMO energy: -9.0 eV
>>>

Written answer
Record 1
The following is a quantum chemistry calculation of a 2-piece molecular cluster, C6H11N overall at a distorted geometry, from the OMol25 dataset.

Summary:
- Energy above the lowest of the compared OMol25 structures with the same formula, charge and spin: 113.06 kcal/mol
- SMILES: C=CN=C.C=CC
- E_LUMO: 0.67 eV
- Total energy: -7885.629 eV
- Gap between HOMO and LUMO: 9.0 eV
- HOMO energy: -8.4 eV

The geometry in ORCA input format:
```
! wB97M-V def2-TZVPD RIJCOSX def2/J DEFGRID3
* xyz 0 1
N -1.17 -0.70 0.98
C -0.10 1.89 -0.30
C -1.40 -0.34 -0.20
C 0.06 -1.83 2.66
C 0.20 0.69 -1.61
C 1.43 0.24 -1.82
C -0.07 -1.42 1.40
H -0.71 -0.61 -1.13
H 0.72 -1.60 0.67
H -0.73 -1.65 3.38
H 0.74 1.75 0.37
H 1.76 0.01 -2.83
H -1.00 2.01 0.30
H -2.29 0.18 -0.53
H 2.12 0.01 -1.02
H -0.47 0.95 -2.42
H 0.92 -2.39 2.98
H -0.01 2.81 -0.88
*
```

Record 2
The following is a quantum chemistry calculation of C9H9CdO7 as an isolated structure at a distorted geometry, from the OMol25 dataset.

Summary:
- E_LUMO: 3.12 eV
- Total energy: -28378.916 eV
- Gap between HOMO and LUMO: 8.9 eV
- HOMO energy: -5.7 eV

The geometry in ORCA input format:
```
! wB97M-V def2-TZVPD RIJCOSX def2/J DEFGRID3
* xyz -1 1
Cd 2.20 0.41 0.81
O 4.31 1.48 1.06
O 1.55 1.08 -1.18
O -0.02 -1.27 -0.39
O 4.21 -0.66 1.71
O 0.63 0.70 2.24
O -0.83 2.43 2.03
O 0.21 2.72 -1.82
C -1.21 0.57 0.56
C -0.73 -0.65 -1.50
C -0.90 0.78 -0.97
C -1.06 -0.97 0.68
C -0.34 1.33 1.70
C -2.30 -1.63 -0.01
C -2.01 -1.43 -1.51
C 4.88 0.41 1.47
C 0.34 1.60 -1.32
H -2.29 -2.76 0.13
H -2.79 -0.91 -2.07
H 5.97 0.43 1.52
H -0.15 -0.79 -2.44
H -3.25 -1.27 0.41
H -1.77 1.25 -1.50
H -1.71 -2.45 -1.97
H -0.69 -1.34 1.61
H -2.24 0.93 0.75
*
```

Record 3
The following is a quantum chemistry calculation of a 2-piece molecular cluster, C4H15N2O2 overall at a distorted geometry, from the OMol25 dataset.

Summary:
- Energy above the lowest of the compared OMol25 structures with the same formula, charge and spin: 68.75 kcal/mol
- Expectation value of S²: 0.751
- E_LUMO (spin up / spin down): 0.54 / 0.46 eV
- Total energy: -11461.427 eV
- Gap between HOMO and LUMO (spin up / spin down): 3.5 / 10.4 eV
- HOMO energy (spin up / spin down): -2.9 / -9.9 eV

The geometry in ORCA input format:
```
! wB97M-V def2-TZVPD RIJCOSX def2/J DEFGRID3
* xyz 0 2
O -1.40 -1.83 -3.74
O -0.72 -0.18 -1.00
N 0.32 -0.67 2.96
N -0.91 1.22 1.26
C 0.43 0.40 0.93
C 0.57 -0.99 1.63
C 1.05 1.54 -1.28
C 0.58 0.29 -0.60
H -0.77 2.17 1.49
H -0.15 -1.32 3.42
H -1.34 0.92 2.15
H 1.13 1.19 1.25
H 0.89 2.27 -0.48
H 0.53 1.63 -2.22
H 1.13 -0.56 3.44
H -0.67 -0.40 -2.05
H 2.15 1.55 -1.49
H -1.32 -2.41 -4.50
H -0.23 -1.62 1.38
H -1.68 1.02 0.47
H 1.48 -1.62 1.33
H 1.22 -0.66 -0.88
H -2.29 -1.95 -3.47
*
```

Record 4
The following is a quantum chemistry calculation of one molecule with the formula C10H11NO at a distorted geometry, from the OMol25 dataset.

Summary:
- Energy above the lowest of the compared OMol25 structures with the same formula, charge and spin: 86.49 kcal/mol
- SMILES: Cc1cccc2c1CCNC2=O
- E_LUMO: 0.43 eV
- Total energy: -14082.838 eV
- Gap between HOMO and LUMO: 9.2 eV
- HOMO energy: -8.8 eV

The geometry in ORCA input format:
```
! wB97M-V def2-TZVPD RIJCOSX def2/J DEFGRID3
* xyz 0 1
O 3.04 -0.03 0.77
N 1.87 1.54 -0.53
C 0.71 1.94 -1.24
C -0.24 0.71 -1.76
C 0.65 -0.25 0.47
C 0.40 -1.11 1.53
C -1.68 -0.65 -0.22
C -0.97 -1.60 1.86
C -2.91 -0.39 -1.10
C -2.01 -1.20 1.07
C 1.91 0.47 0.33
C -0.31 -0.25 -0.53
H -3.35 0.60 -1.34
H -1.40 -2.17 2.68
H 0.22 2.69 -0.47
H 0.05 0.30 -2.80
H -3.09 -1.16 1.68
H -1.35 1.31 -1.71
H -3.68 -0.95 -0.70
H 2.55 2.30 -0.39
H 1.16 -1.50 2.23
H -2.68 -0.75 -2.03
H 0.87 2.83 -1.98
*
```

Record 5
The following is a quantum chemistry calculation of one molecule with the formula C14H18BFO5 at a distorted geometry, from the OMol25 dataset.

Summary:
- SMILES: CC[C@@]1(CB(O)O)[C@H](COc2ccccc2)OC(=O)[C@H]1F
- E_LUMO: 0.18 eV
- Total energy: -28442.498 eV
- Gap between HOMO and LUMO: 9.1 eV
- HOMO energy: -9.0 eV